-- Data --
┌──
[1]
Compound: ScPb3
Source: Materials Project
Functional: PBE
Structure: optimized geometry

a = 4.535 Å, b = 4.535 Å, c = 11.049 Å
α = 90.00°, β = 90.00°, γ = 90.00°
Space group I4/mmm (No. 139)
Symmetry-distinct sites (fractional):
Sc  0.000  0.000  0.000 x2
Pb  0.000  0.000  0.500 x2
Pb  0.000  0.500  0.250 x4

final energy = -4.47 eV/atom



[2]
Compound: AlCrN2
Source: Materials Project
Functional: PBE
Structure: optimized geometry

a = 5.140 Å, b = 10.680 Å, c = 13.233 Å
α = 90.00°, β = 90.00°, γ = 90.00°
Space group Pbca (No. 61)
Symmetry-distinct sites (fractional):
Al  0.137  0.036  0.185 x8
Al  0.185  0.711  0.563 x8
Cr  0.172  0.542  0.941 x8
Cr  0.191  0.713  0.801 x8
N  0.165  0.211  0.178 x8
N  0.187  0.208  0.946 x8
N  0.201  0.042  0.571 x8
N  0.211  0.024  0.807 x8

MP2020-corrected energy = -8.341 eV per atom
final energy = -8.16 eV/atom



| no. | energy of formation from the pure elements (kJ/mol of formula units) | spin magnetization (μB/cell) |
| --- | --- | --- |
| 1 | -38 | 0.01 |
| 2 | -318 | 39.83 |

* * * * *

1.
Below is a geometry-optimized Tl3AsSe4 structure, with properties calculated at the PBE level.

Output
total energy	-3.50	eV per atom
space-group type	Pnma

abc: 9.324 9.727 11.535
angles: 90.00 90.00 90.00
Atoms (fractional coordinates):
1 Tl 0.935 0.195 0.055
2 Tl 0.065 0.805 0.945
3 Tl 0.065 0.805 0.555
4 Tl 0.565 0.695 0.555
5 Tl 0.935 0.195 0.445
6 Tl 0.435 0.305 0.445
7 Tl 0.395 0.111 0.750
8 Tl 0.605 0.889 0.250
9 Tl 0.435 0.305 0.055
10 Tl 0.105 0.611 0.250
11 Tl 0.565 0.695 0.945
12 Tl 0.895 0.389 0.750
13 Se 0.308 0.772 0.750
14 Se 0.646 0.030 0.918
15 Se 0.354 0.970 0.418
16 Se 0.492 0.570 0.250
17 Se 0.192 0.272 0.250
18 Se 0.992 0.930 0.250
19 Se 0.146 0.470 0.582
20 Se 0.508 0.430 0.750
21 Se 0.854 0.530 0.082
22 Se 0.808 0.728 0.750
23 Se 0.354 0.970 0.082
24 Se 0.008 0.070 0.750
25 Se 0.692 0.228 0.250
26 Se 0.646 0.030 0.582
27 Se 0.854 0.530 0.418
28 Se 0.146 0.470 0.918
29 As 0.223 0.029 0.250
30 As 0.777 0.971 0.750
31 As 0.723 0.471 0.250
32 As 0.277 0.529 0.750

***

2.
Below is a geometry-optimized Cs6Br4O structure, with properties calculated at the PBE level.

Output
total energy	-3.11	eV per atom
space-group type	R-3c

abc: 10.040 10.040 10.040
angles: 88.85 88.85 88.85
Atoms (fractional coordinates):
1 Cs 0.223 0.557 0.433
2 Cs 0.723 0.933 0.057
3 Cs 0.443 0.567 0.777
4 Cs 0.433 0.223 0.557
5 Cs 0.943 0.277 0.067
6 Cs 0.933 0.057 0.723
7 Cs 0.277 0.067 0.943
8 Cs 0.567 0.777 0.443
9 Cs 0.557 0.433 0.223
10 Cs 0.057 0.723 0.933
11 Cs 0.777 0.443 0.567
12 Cs 0.067 0.943 0.277
13 Br 0.250 0.873 0.627
14 Br 0.750 0.750 0.750
15 Br 0.250 0.250 0.250
16 Br 0.127 0.373 0.750
17 Br 0.627 0.250 0.873
18 Br 0.373 0.750 0.127
19 Br 0.750 0.127 0.373
20 Br 0.873 0.627 0.250
21 O 0.500 0.500 0.500
22 O 0.000 0.000 0.000

***

3.
Below is a geometry-optimized Na3H7C2O6 structure, with properties calculated at the PBE level.

Output
total energy	-4.98	eV per atom
total magnetization	4.0	Bohr magnetons per cell
space-group type	C2/c

abc: 11.197 11.197 10.015
angles: 76.22 76.22 18.29
Atoms (fractional coordinates):
1 Na 0.216 0.497 0.423
2 Na 0.784 0.503 0.577
3 Na 0.497 0.216 0.923
4 Na 0.759 0.241 0.250
5 Na 0.503 0.784 0.077
6 Na 0.241 0.759 0.750
7 H 0.500 0.500 0.500
8 H 0.482 0.033 0.614
9 H 0.937 0.625 0.832
10 H 0.518 0.967 0.386
11 H 0.905 0.736 0.765
12 H 0.033 0.482 0.114
13 H 0.736 0.905 0.265
14 H 0.264 0.095 0.735
15 H 0.063 0.375 0.168
16 H 0.095 0.264 0.235
17 H 0.500 0.500 0.000
18 H 0.375 0.063 0.668
19 H 0.967 0.518 0.886
20 H 0.625 0.937 0.332
21 O 0.332 0.570 0.984
22 O 0.327 0.818 0.289
└──
-- Exercise --
Now give back the whole of the data earlier on with every line break kept.
-- Worked solution --
[1]
Compound: ScPb3
Source: Materials Project
Functional: PBE
Structure: optimized geometry

a = 4.535 Å, b = 4.535 Å, c = 11.049 Å
α = 90.00°, β = 90.00°, γ = 90.00°
Space group I4/mmm (No. 139)
Symmetry-distinct sites (fractional):
Sc  0.000  0.000  0.000 x2
Pb  0.000  0.000  0.500 x2
Pb  0.000  0.500  0.250 x4

final energy = -4.47 eV/atom



[2]
Compound: AlCrN2
Source: Materials Project
Functional: PBE
Structure: optimized geometry

a = 5.140 Å, b = 10.680 Å, c = 13.233 Å
α = 90.00°, β = 90.00°, γ = 90.00°
Space group Pbca (No. 61)
Symmetry-distinct sites (fractional):
Al  0.137  0.036  0.185 x8
Al  0.185  0.711  0.563 x8
Cr  0.172  0.542  0.941 x8
Cr  0.191  0.713  0.801 x8
N  0.165  0.211  0.178 x8
N  0.187  0.208  0.946 x8
N  0.201  0.042  0.571 x8
N  0.211  0.024  0.807 x8

MP2020-corrected energy = -8.341 eV per atom
final energy = -8.16 eV/atom



| no. | energy of formation from the pure elements (kJ/mol of formula units) | spin magnetization (μB/cell) |
| --- | --- | --- |
| 1 | -38 | 0.01 |
| 2 | -318 | 39.83 |

* * * * *

1.
Below is a geometry-optimized Tl3AsSe4 structure, with properties calculated at the PBE level.

Output
total energy	-3.50	eV per atom
space-group type	Pnma

abc: 9.324 9.727 11.535
angles: 90.00 90.00 90.00
Atoms (fractional coordinates):
1 Tl 0.935 0.195 0.055
2 Tl 0.065 0.805 0.945
3 Tl 0.065 0.805 0.555
4 Tl 0.565 0.695 0.555
5 Tl 0.935 0.195 0.445
6 Tl 0.435 0.305 0.445
7 Tl 0.395 0.111 0.750
8 Tl 0.605 0.889 0.250
9 Tl 0.435 0.305 0.055
10 Tl 0.105 0.611 0.250
11 Tl 0.565 0.695 0.945
12 Tl 0.895 0.389 0.750
13 Se 0.308 0.772 0.750
14 Se 0.646 0.030 0.918
15 Se 0.354 0.970 0.418
16 Se 0.492 0.570 0.250
17 Se 0.192 0.272 0.250
18 Se 0.992 0.930 0.250
19 Se 0.146 0.470 0.582
20 Se 0.508 0.430 0.750
21 Se 0.854 0.530 0.082
22 Se 0.808 0.728 0.750
23 Se 0.354 0.970 0.082
24 Se 0.008 0.070 0.750
25 Se 0.692 0.228 0.250
26 Se 0.646 0.030 0.582
27 Se 0.854 0.530 0.418
28 Se 0.146 0.470 0.918
29 As 0.223 0.029 0.250
30 As 0.777 0.971 0.750
31 As 0.723 0.471 0.250
32 As 0.277 0.529 0.750

***

2.
Below is a geometry-optimized Cs6Br4O structure, with properties calculated at the PBE level.

Output
total energy	-3.11	eV per atom
space-group type	R-3c

abc: 10.040 10.040 10.040
angles: 88.85 88.85 88.85
Atoms (fractional coordinates):
1 Cs 0.223 0.557 0.433
2 Cs 0.723 0.933 0.057
3 Cs 0.443 0.567 0.777
4 Cs 0.433 0.223 0.557
5 Cs 0.943 0.277 0.067
6 Cs 0.933 0.057 0.723
7 Cs 0.277 0.067 0.943
8 Cs 0.567 0.777 0.443
9 Cs 0.557 0.433 0.223
10 Cs 0.057 0.723 0.933
11 Cs 0.777 0.443 0.567
12 Cs 0.067 0.943 0.277
13 Br 0.250 0.873 0.627
14 Br 0.750 0.750 0.750
15 Br 0.250 0.250 0.250
16 Br 0.127 0.373 0.750
17 Br 0.627 0.250 0.873
18 Br 0.373 0.750 0.127
19 Br 0.750 0.127 0.373
20 Br 0.873 0.627 0.250
21 O 0.500 0.500 0.500
22 O 0.000 0.000 0.000

***

3.
Below is a geometry-optimized Na3H7C2O6 structure, with properties calculated at the PBE level.

Output
total energy	-4.98	eV per atom
total magnetization	4.0	Bohr magnetons per cell
space-group type	C2/c

abc: 11.197 11.197 10.015
angles: 76.22 76.22 18.29
Atoms (fractional coordinates):
1 Na 0.216 0.497 0.423
2 Na 0.784 0.503 0.577
3 Na 0.497 0.216 0.923
4 Na 0.759 0.241 0.250
5 Na 0.503 0.784 0.077
6 Na 0.241 0.759 0.750
7 H 0.500 0.500 0.500
8 H 0.482 0.033 0.614
9 H 0.937 0.625 0.832
10 H 0.518 0.967 0.386
11 H 0.905 0.736 0.765
12 H 0.033 0.482 0.114
13 H 0.736 0.905 0.265
14 H 0.264 0.095 0.735
15 H 0.063 0.375 0.168
16 H 0.095 0.264 0.235
17 H 0.500 0.500 0.000
18 H 0.375 0.063 0.668
19 H 0.967 0.518 0.886
20 H 0.625 0.937 0.332
21 O 0.332 0.570 0.984
22 O 0.327 0.818 0.289